• Assignment:
Please retype the whole of the listing further down unchanged.
• Excerpt:
┌──
This record from OMol25 describes a gas-phase ion, C8H15NP (charge +1) in a non-equilibrium geometry. The level of theory is ωB97M-V/def2-TZVPD.

Results
HOMO level (spin up / spin down) ... -12.2 / -12.2 eV
Calculated total energy ... -709.51534 a.u.
Relative energy (zero: lowest compared OMol25 entry of this formula, charge and spin) ... 313.4 kJ/mol

```
! RIJCOSX wB97M-V def2-TZVPD def2/J DEFGRID3
* xyz 1 1
C 2.39927 0.69820 -1.30931
C 1.93430 -0.52033 -1.08081
C 1.41947 1.74418 -1.12134
C 0.66333 -0.96326 -0.95549
C -0.75915 2.47673 -0.78935
C -0.25747 -2.77722 0.64430
C -2.13708 -0.41720 -0.05608
C 0.10602 -0.26430 2.21069
N 0.14043 1.49925 -1.04408
P -0.43915 -0.98819 0.51369
H 3.43022 0.93980 -1.40991
H 2.56170 -1.38998 -1.23935
H 1.78943 2.81001 -1.13208
H -1.48524 2.50257 -1.65350
H -1.45006 2.24651 0.11306
H -0.30057 3.49976 -0.51714
H 0.63844 -3.11566 1.30639
H 0.00540 -3.16833 -0.40695
H -1.21776 -3.24328 0.88748
H -2.09303 0.67369 -0.01813
H -2.93931 -0.70982 0.72334
H -2.44042 -0.84748 -0.94867
H -0.77186 0.35081 2.53863
H 1.12523 0.17465 2.00766
H 0.07787 -1.21111 2.73696
*
```

natural (NBO) population analysis, charges in e, atoms 1 to 2: number 1, C, carries -0.272; number 2, C, carries -0.364

* * * * *

Arrangement 1

The following is a quantum chemistry calculation of an isolated ion of composition C6H13N2O and charge +1, from the Open Molecules 2025 dataset.

As for the charge: +1. The value obtained for the HOMO energy is -12.0 eV. The LUMO energy is -3.634 eV. As for the structure (SMILES): CN/C(C)=C\[N+](C)=C\O.

Last column: Löwdin charge in e.
Cartesian coordinates (Å):
C (-0.24, 0.99, 0.31)  -0.064
C (0.94, 0.31, 0.25)  -0.306
C (-1.78, -0.79, 0.48)  -0.113
C (2.20, 1.06, 0.54)  -0.009
C (-2.47, 1.26, -0.60)  0.034
C (2.26, -1.70, -0.35)  -0.055
N (-1.50, 0.42, 0.09)  -0.086
N (1.02, -1.00, -0.07)  -0.029
O (-2.89, -1.45, 0.27)  0.166
H (-0.26, 2.04, 0.51)  0.125
H (-1.07, -1.34, 1.08)  0.176
H (2.85, 1.07, -0.33)  0.100
H (2.73, 0.60, 1.36)  0.098
H (1.97, 2.09, 0.81)  0.090
H (-1.94, 1.88, -1.33)  0.117
H (-3.21, 0.68, -1.14)  0.098
H (-2.97, 1.92, 0.10)  0.123
H (2.58, -1.56, -1.39)  0.098
H (3.05, -1.35, 0.30)  0.085
H (2.10, -2.76, -0.17)  0.095
H (0.22, -1.41, -0.53)  0.123
H (-3.60, -0.96, -0.19)  0.135

=====

Arrangement 2

The following is a quantum chemistry calculation of a 2-piece molecular cluster, C6H13N2O overall, from the Open Molecules 2025 dataset.

As for the charge: +1. The value obtained for the HOMO energy (alpha / beta) is -13.8 / -12.1 eV. The LUMO energy (alpha / beta) is -4.693 / -4.704 eV.

Last column: Löwdin charge in e.
Cartesian coordinates (Å):
C (0.81, -1.96, 0.60)  -0.026
C (0.21, 0.12, 0.99)  0.028
C (0.83, 0.07, -0.37)  -0.527
C (-0.01, 0.57, -1.51)  -0.011
C (2.25, 0.80, -0.49)  -0.016
C (-2.93, 0.71, 0.74)  -0.215
N (1.05, -1.32, -0.56)  0.138
N (0.41, -1.13, 1.48)  0.104
O (-2.03, -0.22, 1.09)  -0.132
H (0.58, -3.07, 0.63)  0.200
H (0.09, 0.97, 1.69)  0.172
H (-0.24, 1.59, -1.39)  0.095
H (-0.89, -0.06, -1.54)  0.092
H (0.55, 0.34, -2.45)  0.118
H (2.21, 1.92, -0.67)  0.099
H (2.68, 0.53, -1.49)  0.090
H (3.11, 0.76, 0.33)  0.129
H (-3.00, 1.54, 1.39)  0.067
H (-3.83, 0.06, 0.87)  0.134
H (-2.95, 1.00, -0.32)  0.087
H (0.95, -1.79, -1.44)  0.172
H (0.16, -1.43, 2.43)  0.203

=====

Going by the energies, arrangement 1 is most stable and the next is 0.1176 hartree up.

=====

Arrangement 1

The following is a quantum chemistry calculation of an isolated ion of composition C4H10NO and charge -1, from the Open Molecules 2025 dataset.

As for the charge: -1. The value obtained for the HOMO energy is -2.1 eV. The LUMO energy is 4.296 eV. As for the structure (SMILES): CNCCC[O-].

Last column: Löwdin charge in e.
Cartesian coordinates (Å):
C (0.70, -1.79, -0.42)  -0.115
N (0.77, -1.15, 0.96)  -0.157
C (-0.03, 0.05, 1.13)  -0.277
C (0.00, 1.18, 0.07)  -0.249
C (-1.15, 1.23, -0.90)  -0.637
O (-1.33, 0.17, -1.67)  -0.322
H (1.12, -2.82, -0.35)  0.050
└──
• Response:
This record from OMol25 describes a gas-phase ion, C8H15NP (charge +1) in a non-equilibrium geometry. The level of theory is ωB97M-V/def2-TZVPD.

Results
HOMO level (spin up / spin down) ... -12.2 / -12.2 eV
Calculated total energy ... -709.51534 a.u.
Relative energy (zero: lowest compared OMol25 entry of this formula, charge and spin) ... 313.4 kJ/mol

```
! RIJCOSX wB97M-V def2-TZVPD def2/J DEFGRID3
* xyz 1 1
C 2.39927 0.69820 -1.30931
C 1.93430 -0.52033 -1.08081
C 1.41947 1.74418 -1.12134
C 0.66333 -0.96326 -0.95549
C -0.75915 2.47673 -0.78935
C -0.25747 -2.77722 0.64430
C -2.13708 -0.41720 -0.05608
C 0.10602 -0.26430 2.21069
N 0.14043 1.49925 -1.04408
P -0.43915 -0.98819 0.51369
H 3.43022 0.93980 -1.40991
H 2.56170 -1.38998 -1.23935
H 1.78943 2.81001 -1.13208
H -1.48524 2.50257 -1.65350
H -1.45006 2.24651 0.11306
H -0.30057 3.49976 -0.51714
H 0.63844 -3.11566 1.30639
H 0.00540 -3.16833 -0.40695
H -1.21776 -3.24328 0.88748
H -2.09303 0.67369 -0.01813
H -2.93931 -0.70982 0.72334
H -2.44042 -0.84748 -0.94867
H -0.77186 0.35081 2.53863
H 1.12523 0.17465 2.00766
H 0.07787 -1.21111 2.73696
*
```

natural (NBO) population analysis, charges in e, atoms 1 to 2: number 1, C, carries -0.272; number 2, C, carries -0.364

* * * * *

Arrangement 1

The following is a quantum chemistry calculation of an isolated ion of composition C6H13N2O and charge +1, from the Open Molecules 2025 dataset.

As for the charge: +1. The value obtained for the HOMO energy is -12.0 eV. The LUMO energy is -3.634 eV. As for the structure (SMILES): CN/C(C)=C\[N+](C)=C\O.

Last column: Löwdin charge in e.
Cartesian coordinates (Å):
C (-0.24, 0.99, 0.31)  -0.064
C (0.94, 0.31, 0.25)  -0.306
C (-1.78, -0.79, 0.48)  -0.113
C (2.20, 1.06, 0.54)  -0.009
C (-2.47, 1.26, -0.60)  0.034
C (2.26, -1.70, -0.35)  -0.055
N (-1.50, 0.42, 0.09)  -0.086
N (1.02, -1.00, -0.07)  -0.029
O (-2.89, -1.45, 0.27)  0.166
H (-0.26, 2.04, 0.51)  0.125
H (-1.07, -1.34, 1.08)  0.176
H (2.85, 1.07, -0.33)  0.100
H (2.73, 0.60, 1.36)  0.098
H (1.97, 2.09, 0.81)  0.090
H (-1.94, 1.88, -1.33)  0.117
H (-3.21, 0.68, -1.14)  0.098
H (-2.97, 1.92, 0.10)  0.123
H (2.58, -1.56, -1.39)  0.098
H (3.05, -1.35, 0.30)  0.085
H (2.10, -2.76, -0.17)  0.095
H (0.22, -1.41, -0.53)  0.123
H (-3.60, -0.96, -0.19)  0.135

=====

Arrangement 2

The following is a quantum chemistry calculation of a 2-piece molecular cluster, C6H13N2O overall, from the Open Molecules 2025 dataset.

As for the charge: +1. The value obtained for the HOMO energy (alpha / beta) is -13.8 / -12.1 eV. The LUMO energy (alpha / beta) is -4.693 / -4.704 eV.

Last column: Löwdin charge in e.
Cartesian coordinates (Å):
C (0.81, -1.96, 0.60)  -0.026
C (0.21, 0.12, 0.99)  0.028
C (0.83, 0.07, -0.37)  -0.527
C (-0.01, 0.57, -1.51)  -0.011
C (2.25, 0.80, -0.49)  -0.016
C (-2.93, 0.71, 0.74)  -0.215
N (1.05, -1.32, -0.56)  0.138
N (0.41, -1.13, 1.48)  0.104
O (-2.03, -0.22, 1.09)  -0.132
H (0.58, -3.07, 0.63)  0.200
H (0.09, 0.97, 1.69)  0.172
H (-0.24, 1.59, -1.39)  0.095
H (-0.89, -0.06, -1.54)  0.092
H (0.55, 0.34, -2.45)  0.118
H (2.21, 1.92, -0.67)  0.099
H (2.68, 0.53, -1.49)  0.090
H (3.11, 0.76, 0.33)  0.129
H (-3.00, 1.54, 1.39)  0.067
H (-3.83, 0.06, 0.87)  0.134
H (-2.95, 1.00, -0.32)  0.087
H (0.95, -1.79, -1.44)  0.172
H (0.16, -1.43, 2.43)  0.203

=====

Going by the energies, arrangement 1 is most stable and the next is 0.1176 hartree up.

=====

Arrangement 1

The following is a quantum chemistry calculation of an isolated ion of composition C4H10NO and charge -1, from the Open Molecules 2025 dataset.

As for the charge: -1. The value obtained for the HOMO energy is -2.1 eV. The LUMO energy is 4.296 eV. As for the structure (SMILES): CNCCC[O-].

Last column: Löwdin charge in e.
Cartesian coordinates (Å):
C (0.70, -1.79, -0.42)  -0.115
N (0.77, -1.15, 0.96)  -0.157
C (-0.03, 0.05, 1.13)  -0.277
C (0.00, 1.18, 0.07)  -0.249
C (-1.15, 1.23, -0.90)  -0.637
O (-1.33, 0.17, -1.67)  -0.322
H (1.12, -2.82, -0.35)  0.050